
Henry Mayhew: London Labour and the London Poor, 1861
By Nina Brown
Henry Mayhew (1812-1887)
Henry Mayhew was born into a wealthy London family, one of seventeen siblings. As a youth Mayhew was rebellious and ran away from boarding school, causing his father to enlist him involuntarily in the East India Company as a means of instilling discipline. After returning from this service Mayhew briefly tried a law career, but found it distasteful, quickly abandoning the profession to become a freelance journalist. Unable to support himself through this work, Mayhew moved to Paris to escape his creditors. In Paris he became part of a circle of young expatriate novelists and writers and in 1841 Mayhew collaborated with his friends to found the satirical weekly serial Punch. In 1849 Mayhew accepted the journalistic assignment that would define his career, agreeing to become the London correspondent for a large-scale survey of Britain's working poor, sponsored by the Morning Chronicle newspaper. His unflinching treatment of the life of the poor was shocking and controversial and his contributions were often censored by the editors. By 1850 Mayhew either quit or was fired from the project, but continued to publish articles on the London poor independently until 1852. These articles were later collected and published in four volumes titled London Labour and the London Poor (1861).
Mayhew approached his work on London Labour and the London Poor ethnographically, venturing directly into the poorest parts of London to interview his subjects directly. The first three volumes contain biographical sketches of the flower girls, cat and dog meat dealers, pickpockets, prostitutes, and others who struggled to eke out a living in Victorian London. His writing captured the conditions of their daily life and recorded their utterances in a form that many have described as the best oral history of the period.
The fourth volume, which Mayhew wrote only a portion of, departed from this format to analyze the characteristics and activities of criminals in Britain and Wales. Mayhew completed a series of choropleth maps for this volume to illustrate the criminal statistics of each county. The maps, rendered in simple black and white, addressed a variety of topics including the overall intensity of criminality in each county, the intensity of "ignorance" (illiteracy), the number of illegitimate children, rates of teenage marriage, and the number of crimes committed by women. In each case, counties below the average were represented in white and counties above the average were shaded in black. Mayhew also printed the county average within the county boundaries and included detailed data tables along with each map. Mayhew's maps were an important innovation in the study of crime, providing easy to read evidence of the spatial concentration of crime and suggesting that crime would be found in relationship to other variables, such as illiteracy.
Mayhew's maps were among the earliest attempts to study crime using cartographic techniques. Along with other early criminologists, such as Joseph Fletcher, Mayhew was part of the "cartographic" or "geographic" school that flourished in criminology between 1830 and 1880 (Phillips 1972). His work laid the foundation for 20th century efforts to understand the relationship between criminal activity and such "ecological" variables as urbanization, poverty, and disease. Several criminologists working in the mid-20th century, such as Clifford Shaw and Henry McKay, also used maps to explore the spatial relationship between criminal activity and these ecological variables, constructing detailed maps of crime in major cities like Chicago (Shaw and McKay 1942). Today, law enforcement officials also make use of geographic techniques to understand the causes and spatial organization of crime. Many American cities have implemented sophisticated computerized crime mapping systems to improve crime prevention efforts (Cho 1998).
Mayhew portrait from London Labour and the London Poor, volume 1. New York: Augustus M. Kelley.
-- Next to the page, the page also holds crystal structures --
~~~
# 1
The following is a DFT calculation (PBE) of crystalline Er11Ga9Pd4 at its relaxed geometry.

a b c (Å): 3.5561 12.5922 12.5922
angles (deg): 113.10 90.00 90.00
Fractional positions:
Er1 0.0000 0.5901 0.9367
Er2 0.0000 0.4099 0.0633
Er3 0.0000 0.9367 0.5901
Er4 0.0000 0.0633 0.4099
Er5 0.0000 0.6316 0.3684
Er6 0.0000 0.3684 0.6316
Er7 0.0000 0.8362 0.1638
Er8 0.0000 0.1638 0.8362
Er9 0.0000 0.0000 0.0000
Er10 0.0000 0.7032 0.7032
Er11 0.0000 0.2968 0.2968
Ga1 0.5000 0.6318 0.1605
Ga2 0.5000 0.3682 0.8395
Ga3 0.5000 0.1605 0.6318
Ga4 0.5000 0.8395 0.3682
Ga5 0.5000 0.7864 0.9317
Ga6 0.5000 0.2136 0.0683
Ga7 0.5000 0.9317 0.7864
Ga8 0.5000 0.0683 0.2136
Ga9 0.5000 0.5000 0.5000
Pd1 0.5000 0.5538 0.7562
Pd2 0.5000 0.4462 0.2438
Pd3 0.5000 0.7562 0.5538
Pd4 0.5000 0.2438 0.4462

Computed properties:
Calculated formation energy: -716 meV per atom
Density of states at the Fermi level: 0.534 states/eV per atom



# 2
The following is a DFT calculation (PBE) of crystalline BaLiAg2 at its relaxed geometry.

a b c (Å): 5.7247 5.7247 5.7247
angles (deg): 130.95 130.95 71.90
Fractional positions:
Ag1 0.0000 0.0000 0.0000
Ag2 0.2500 0.7500 0.5000
Ba1 0.5000 0.5000 0.0000
Li1 0.7500 0.2500 0.5000

Computed properties:
Energy relative to the lowest polymorph listed for this composition: 0.833 eV per formula unit
Calculated formation energy: -38 meV per atom
Density of states at the Fermi level: 0.679 states/eV per atom



# 3
The following is a DFT calculation (PBE) of crystalline TiTl3Te6Pd2 at its relaxed geometry.

a b c (Å): 7.1612 7.1612 8.1184
angles (deg): 98.30 98.30 120.12
Fractional positions:
Ti1 0.0000 0.0000 0.0000
Tl1 0.1633 0.8367 0.5000
Tl2 0.8367 0.1633 0.5000
Tl3 0.5000 0.5000 0.5000
Te1 0.9383 0.6026 0.8123
Te2 0.7275 0.7275 0.1865
Te3 0.0617 0.3974 0.1877
Te4 0.6026 0.9383 0.8123
Te5 0.2725 0.2725 0.8135
Te6 0.3974 0.0617 0.1877
Pd1 0.3339 0.6661 0.0000
Pd2 0.6661 0.3339 0.0000

Computed properties:
Uncorrected formation energy: -337.8 meV per atom
Density of states at the Fermi level: 0.699 states/eV per atom



# 4
The following is a DFT calculation (PBE) of crystalline Be2Cu2Hg at its relaxed geometry.

a b c (Å): 6.7395 6.7395 2.7642
angles (deg): 90.00 90.00 90.00
Fractional positions:
Be1 0.1542 0.6542 0.5000
Be2 0.6542 0.8458 0.5000
Be3 0.8458 0.3458 0.5000
Be4 0.3458 0.1542 0.5000
Hg1 0.0000 0.0000 0.0000
Hg2 0.5000 0.5000 0.0000
Cu1 0.3678 0.8678 0.0000
Cu2 0.8678 0.6322 0.0000
Cu3 0.6322 0.1322 0.0000
Cu4 0.1322 0.3678 0.0000

Computed properties:
Energy relative to the lowest polymorph listed for this composition: 0.388 eV per formula unit
Calculated formation energy: 189 meV per atom
Density of states at the Fermi level: 0.162 states/eV per atom



# 5
The following is a DFT calculation (PBE) of crystalline PmDy2TmSe6 at its relaxed geometry.

a b c (Å): 7.2368 7.2368 7.7207
angles (deg): 62.05 62.05 59.99
Fractional positions:
Pm1 0.8147 0.8148 0.5557
Dy1 0.5156 0.5156 0.4533
Dy2 0.0126 0.0127 0.9622
Tm1 0.3192 0.3191 0.0425
~~~
-- The page goes on --
The Intensity of Criminality
Map showing the number of criminal offenders to every 10,000 of population in each county of England and Wales.
The counties printed black are those in which the number of criminals is above the average. The counties left white are those in which the number of criminals is below the average. Averages were calculated from the returns for the last ten years.
Map Source: London Labour and the London Poor, volume 4. New York: Augustus M. Kelley, 1967.
London Labour and the London Poor: A Cyclopaedia of the Condition and Earnings of Those That Will Work, Those That Cannot Work, and Those That Will Not Work [1861]. (New York: A.M. Kelley, 1967).
The Criminal Prisons of London and Scenes of Prison Life. (London: Griffin, Bohn and Co., 1862).
London Characters: Illustrations of the Humor, Pathos, and Peculiarities of London Life. (London: Chatto & Windus, 1874).
Related Works
# Between two parts of the piece: materials data
1.
Material: LiZrPd14
Method: DFT, PBE-GGA
State: relaxed

Output
- DOS(E_F) (states/eV per atom) = 1.614
- calculated total energy (eV per cell) = -87.40
- calculated formation energy (eV per atom) = -0.2652
- SG = P4/mmm
- magnetization (Bohr magnetons per cell) = 0.00
- calculated density (g cm⁻³) = 10.60

```
data_LiZrPd14
_cell_length_a 5.617
_cell_length_b 5.617
_cell_length_c 7.886
_cell_angle_alpha 90.00
_cell_angle_beta 90.00
_cell_angle_gamma 90.00
_space_group_name_H-M_alt 'P 1'
_space_group_IT_number 1
loop_
_space_group_symop_operation_xyz
'x,y,z'
loop_
_atom_site_label
_atom_site_type_symbol
_atom_site_fract_x
_atom_site_fract_y
_atom_site_fract_z
Li1 Li 0.000 0.000 0.000
Zr1 Zr 0.500 0.500 0.000
Pd1 Pd 0.000 0.000 0.500
Pd2 Pd 0.000 0.500 0.000
Pd3 Pd 0.000 0.500 0.500
Pd4 Pd 0.249 0.249 0.248
Pd5 Pd 0.249 0.249 0.752
Pd6 Pd 0.249 0.751 0.248
Pd7 Pd 0.249 0.751 0.752
Pd8 Pd 0.500 0.000 0.000
Pd9 Pd 0.500 0.000 0.500
Pd10 Pd 0.500 0.500 0.500
Pd11 Pd 0.751 0.249 0.248
Pd12 Pd 0.751 0.249 0.752
Pd13 Pd 0.751 0.751 0.248
Pd14 Pd 0.751 0.751 0.752
```

=====

2.
Material: Li2Pm
Method: DFT, PBE-GGA
State: relaxed

Output
- DOS(E_F) (states/eV per atom) = 1.040
- calculated total energy (eV per cell) = -8.21
- distance to the lowest polymorph of the same formula (meV/atom) = 20
- calculated formation energy (eV per atom) = 0.1243
- SG = I4/mmm
- magnetization (Bohr magnetons per cell) = 0.24
- calculated density (g cm⁻³) = 3.58

```
data_Li2Pm
_cell_length_a 6.201
_cell_length_b 6.201
_cell_length_c 6.201
_cell_angle_alpha 146.16
_cell_angle_beta 146.16
_cell_angle_gamma 48.61
_space_group_name_H-M_alt 'P 1'
_space_group_IT_number 1
loop_
_space_group_symop_operation_xyz
'x,y,z'
loop_
_atom_site_label
_atom_site_type_symbol
_atom_site_fract_x
_atom_site_fract_y
_atom_site_fract_z
Li1 Li 0.193 0.193 0.000
Li2 Li 0.807 0.807 0.000
Pm1 Pm 0.500 0.500 0.000
```

=====

3.
Material: Li2Pm
Method: DFT, PBE-GGA
State: relaxed

Output
- DOS(E_F) (states/eV per atom) = 0.708
- calculated total energy (eV per cell) = -16.53
- distance to the lowest polymorph of the same formula (meV/atom) = 0
- calculated formation energy (eV per atom) = 0.1041
- SG = Fd-3m
- magnetization (Bohr magnetons per cell) = 0.00
- calculated density (g cm⁻³) = 3.57

```
data_Li2Pm
_cell_length_a 5.936
_cell_length_b 5.936
_cell_length_c 5.936
_cell_angle_alpha 60.00
_cell_angle_beta 60.00
_cell_angle_gamma 60.00
_space_group_name_H-M_alt 'P 1'
_space_group_IT_number 1
loop_
_space_group_symop_operation_xyz
'x,y,z'
loop_
_atom_site_label
_atom_site_type_symbol
_atom_site_fract_x
_atom_site_fract_y
_atom_site_fract_z
Li1 Li 0.000 0.000 0.000
Li2 Li 0.000 0.000 0.500
Li3 Li 0.000 0.500 0.000
Li4 Li 0.500 0.000 0.000
Pm1 Pm 0.375 0.375 0.375
Pm2 Pm 0.625 0.625 0.625
```

=====

4.
Material: Li2Pm
Method: DFT, PBE-GGA
State: relaxed

Output
- DOS(E_F) (states/eV per atom) = 0.611
- calculated total energy (eV per cell) = -8.23
# The piece goes on
Cho, George. Geographic Information Systems and the Law: Mapping the Legal Frontiers. (New York: J. Wiley & Sons, 1998).
Humpherys, Anne. Travels Into the Poor Man's Country: The Work of Henry Mayhew. (Athens : University of Georgia Press, 1977).
Phillips, Phillip D. A Prologue to the Geography of Crime. Proceedings of the Association of American Geographers 4 (1972): 86-91.
_Between two parts of the article: calculated crystals_
- - -
(1)
K15BaNa4: optimized geometry, PBE-GGA.

- formation energy from the elements (kJ per mole of atoms) = 3.7
- calculated volume (Å³/f.u.) = 1279.6
- symmetry = P4/mmm (123)

a = 6.4252 Å, b = 6.4252 Å, c = 30.9952 Å
α = 90.00°, β = 90.00°, γ = 90.00°
Last column: nearest neighbours and their distance in Å.
Element x y z (fractional)
K  0.5000  0.5000  0.0000  4 Ba 4.54, 8 K 4.67
K  0.5000  0.5000  0.2071  8 K 4.40-4.41, 4 Na 4.54
K  0.5000  0.5000  0.4022  8 K 4.42-4.43, 4 Na 4.54
K  0.5000  0.5000  0.5978  8 K 4.42-4.43, 4 Na 4.54
K  0.5000  0.5000  0.7929  8 K 4.40-4.41, 4 Na 4.54
K  0.5000  0.0000  0.1096  2 Na 4.37, 8 K 4.41-4.67, 2 Ba 4.67
K  0.5000  0.0000  0.3039  8 K 4.40-4.54, 4 Na 4.42-4.44
K  0.5000  0.0000  0.5000  8 K 4.42-4.54, 4 Na 4.42
K  0.5000  0.0000  0.6961  8 K 4.40-4.54, 4 Na 4.42-4.44
K  0.5000  0.0000  0.8904  2 Na 4.37, 8 K 4.41-4.67, 2 Ba 4.67
K  0.0000  0.5000  0.1096  2 Na 4.37, 8 K 4.41-4.67, 2 Ba 4.67
K  0.0000  0.5000  0.3039  8 K 4.40-4.54, 4 Na 4.42-4.44
K  0.0000  0.5000  0.5000  8 K 4.42-4.54, 4 Na 4.42
K  0.0000  0.5000  0.6961  8 K 4.40-4.54, 4 Na 4.42-4.44
K  0.0000  0.5000  0.8904  2 Na 4.37, 8 K 4.41-4.67, 2 Ba 4.67
Ba  0.0000  0.0000  0.0000  12 K 4.54-4.67
Na  0.0000  0.0000  0.2052  12 K 4.37-4.54
Na  0.0000  0.0000  0.4020  12 K 4.42-4.54
Na  0.0000  0.0000  0.5980  12 K 4.42-4.54
Na  0.0000  0.0000  0.7948  12 K 4.37-4.54

(2)
Hf3Fe2Si4: optimized geometry, PBE-GGA.

- calculated volume (Å³/f.u.) = 136.2
- symmetry = C2/m (12)
- E_form (uncorrected) (meV/atom) = -713.4

a = 3.9244 Å, b = 5.2723 Å, c = 7.4948 Å
α = 107.42°, β = 90.00°, γ = 111.85°
Last column: nearest neighbours and their distance in Å.
Element x y z (fractional)
Hf  0.6268  0.2535  0.6926  4 Fe 2.72-2.95, 7 Si 2.72-2.86
Hf  0.0000  0.0000  0.0000  8 Si 2.80-3.02
Hf  0.3732  0.7465  0.3074  4 Fe 2.72-2.95, 7 Si 2.72-2.86
Fe  0.6861  0.3721  0.3627  4 Si 2.24-2.33
Fe  0.3139  0.6279  0.6373  4 Si 2.24-2.33
Si  0.7151  0.4302  0.0757  1 Fe 2.26, 2 Si 2.47
Si  0.2849  0.5698  0.9243  1 Fe 2.26, 2 Si 2.47
Si  0.9102  0.8204  0.5968  3 Fe 2.24-2.33
Si  0.0898  0.1796  0.4032  3 Fe 2.24-2.33

(3)
Rb2U3RhO12: optimized geometry, PBE-GGA.

- calculated volume (Å³/f.u.) = 327.3
- symmetry = R-3m (166)
- E_form (uncorrected) (meV/atom) = -2514.1

a = 7.5702 Å, b = 7.5702 Å, c = 7.5702 Å
α = 63.01°, β = 63.01°, γ = 63.01°
Last column: nearest neighbours and their distance in Å.
Element x y z (fractional)
Rb  0.6308  0.6308  0.6308  9 O 3.38-3.60
Rb  0.3692  0.3692  0.3692  9 O 3.38-3.60
U  0.5000  0.0000  0.0000  6 O 2.01-2.13
U  0.0000  0.5000  0.0000  6 O 2.01-2.13
U  0.0000  0.0000  0.5000  6 O 2.01-2.13
Rh  0.0000  0.0000  0.0000  6 O 1.99
O  0.3224  0.3224  0.9404  2 U 2.13
O  0.9411  0.9411  0.3025  1 Rh 1.99, 1 U 2.01
O  0.3025  0.9411  0.9411  1 Rh 1.99, 1 U 2.01
O  0.9404  0.3224  0.3224  2 U 2.13
O  0.9411  0.3025  0.9411  1 Rh 1.99, 1 U 2.01
O  0.3224  0.9404  0.3224  2 U 2.13
O  0.6776  0.6776  0.0596  2 U 2.13
- - -
Shaw, Clifford Robe and Henry D. McKay. Juvenile Delinquency and Urban Areas. (Chicago: University of Chicago Press, 1942).
Turnbull, Linda S., Elaine Hallisey Hendrix and Borden D. Dent, eds. Atlas of Crime: Mapping the Criminal Landscape. (Phoenix: Oryx Press, 2000).